Poker Chip Cases & Racks
There are several different types of poker chip cases available. Aluminum poker chip cases are probably the most popular
since they are often free with a set of poker chips. Vinyl and wood poker chip cases are also quite popular. Smaller (100-chip)
poker chip racks or boxes also come in handy.

Carousel - Aluminum - Wood Poker Chip Cases
Carousels were more popular in the past then they are today. They only hold a couple hundred chips and usually
cannot be locked. They may be fine for a small dealers choice game but are not a realistic option for storing large amounts
of poker chips for a tournament.
Aluminum and vinyl poker chip cases are the most popular cases today. Most are of rather poor quality and
the handles bend and break quite easily. Common case sizes are 300, 500, 650, and 1,000 poker chips. Make sure that you have
a very strong handle if you are going to carry around 1,000 chips! Many poker chip sets include playing cards or dice.
Dice are of no use when playing poker and the included playing cards are usually cheap and don't last long. Acrylic
cases are similar to the aluminum and vinyl cases except are made of clear plastic. They are usually a little stronger than
the aluminum cases, but not much. The benefit of an acrylic case is that you can view your chips through the clear plastic,
Here the article breaks off for quantum chemistry results:
/*
[1]
DFT (ωB97M-V with the def2-TZVPD basis set) results for a 2-piece molecular cluster, C6H14N2O2 overall in a non-equilibrium geometry.

For the LUMO energy, the calculation gives 0.0299 Eh. The relative energy (zero: lowest compared OMol25 entry of this formula, charge and spin) comes out at 20.5 kcal/mol. The structure (SMILES) is CNC(C)=O.CNC(C)=O. The energy comes out at -13524.736 eV. The value obtained for the frontier orbital gap is 10.30 eV. For the HOMO energy, the calculation gives -9.485 eV.

XYZ file:
```
24
C6H14N2O2, DFT ωB97M-V with the def2-TZVPD basis set
C 3.363 -0.040 1.045
N 2.680 0.560 2.177
C 1.828 1.611 1.892
C 1.173 2.229 3.097
O 1.495 1.861 0.751
H 2.704 -0.793 0.628
H 3.587 0.655 0.234
H 4.265 -0.518 1.362
H 3.300 0.785 2.937
H 1.876 2.489 3.882
H 0.645 3.136 2.824
H 0.520 1.451 3.488
C -3.027 0.600 -1.794
N -2.319 -0.547 -2.361
C -2.205 -1.699 -1.664
C -1.515 -2.848 -2.364
O -2.657 -1.788 -0.534
H -2.380 0.985 -1.044
H -3.296 1.350 -2.528
H -3.907 0.297 -1.225
H -2.075 -0.393 -3.318
H -0.760 -3.186 -1.655
H -2.246 -3.636 -2.533
H -1.046 -2.562 -3.298
```

[2]
DFT (ωB97M-V with the def2-TZVPD basis set) results for a 2-piece molecular cluster, C6H14N2O2 overall in a non-equilibrium geometry.

For the LUMO energy, the calculation gives 0.0224 Eh. The relative energy (zero: lowest compared OMol25 entry of this formula, charge and spin) comes out at 26.2 kcal/mol. The structure (SMILES) is CNC(C)=O.CNC(C)=O. The energy comes out at -13524.486 eV. The value obtained for the frontier orbital gap is 9.84 eV. For the HOMO energy, the calculation gives -9.228 eV.

XYZ file:
```
24
C6H14N2O2, DFT ωB97M-V with the def2-TZVPD basis set
C -1.826 2.147 -0.873
N -0.994 1.301 0.004
C -0.714 1.966 1.164
C -0.053 1.156 2.245
O -0.762 3.178 1.254
H -1.298 2.990 -1.324
H -2.088 1.564 -1.765
H -2.793 2.384 -0.453
H -0.652 0.416 -0.331
H -0.231 0.071 2.238
H 0.994 1.405 2.378
H -0.609 1.399 3.158
C -0.531 -2.822 -1.727
N 0.511 -2.723 -0.702
C 1.195 -1.562 -0.526
C 2.296 -1.527 0.507
O 0.967 -0.585 -1.232
H -0.070 -2.993 -2.702
H -1.356 -3.455 -1.406
H -0.992 -1.830 -1.701
H 0.719 -3.505 -0.111
H 2.674 -0.531 0.384
H 1.976 -1.694 1.539
H 3.053 -2.266 0.232
```

[3]
DFT (ωB97M-V with the def2-TZVPD basis set) results for a 2-piece molecular cluster, C6H14N2O2 overall in a non-equilibrium geometry.

For the LUMO energy (alpha / beta), the calculation gives -0.0113 / -0.0113 Eh. The relative energy (zero: lowest compared OMol25 entry of this formula, charge and spin) comes out at 115.3 kcal/mol. The energy comes out at -13520.623 eV. The value obtained for the frontier orbital gap (alpha / beta) is 8.05 / 8.05 eV. For the HOMO energy (alpha / beta), the calculation gives -8.362 / -8.362 eV.

XYZ file:
```
24
C6H14N2O2, DFT ωB97M-V with the def2-TZVPD basis set
C 1.246 0.453 -0.092
C 1.258 1.613 0.859
C 1.212 0.818 -1.541
C 2.185 -0.644 0.306
N -1.211 0.626 0.392
N -1.701 0.977 1.443
H -2.458 0.349 1.786
H 0.937 1.323 1.859
H 2.291 1.980 0.922
*/
making it a more attractive long-term storage solution.
Wood cases offer the most attractive options. Because of the weight, wood cases are usually used for stationary
storage of poker chips, rather than as a traveling set. You can buy wood poker chip that can hold up to thousands of poker
chips. Many are made of very fine wood with intricate moldings and hardware and can add class to any poker room decor. The large
Mahogany cases are very beautiful and have received good reviews on a couple poker forums. Most of the wood trays come with
removable trays, usually of 100 chips. This can be handy during your game for rebuys and chip color-ups.

Acrylic Rack (with cover) - Acrylic Rack -
Plastic Storage Box Poker Chip Racks
(Visit my Poker Chip Racks page)
Acrylic racks are a cheap and efficient method of storing your poker chips. Each rack holds 100 chips, making it very
easy to count your chips. They travel well (with a cover) and you can easily carry a couple trays to the table to make change or
do a chip color-up. They cost about $3 with a cover and $2.25 without. Approximate measurements are 8" x 3".
Composite poker chips are slightly larger than clay poker chips so a row of 20 clay chips might be a little loose inside the
chip slot in your rack. In fact, it might even be possible to squeeze 21 clay chips into the same slot as 20 composite chips.
There are several different brands of racks. The most popular are Paulson and Chipco. When buying Paulson or Chipco, you can be
assured of the exact size of the rack. Other brands of racks are hit-and-miss as to the exact length of the slots. Standard
racks have chip slots that are 2 11/16" in length but other racks may have chip slots that are 2
12/16" in length, just enough extra space to hold that 21st clay chip! And to make matters worse, some
composite chips such as the 13g are a bit thicker than usual and will only fit 19 chips to a slot! The best advice that I can
give you is to sample one rack before you make your final purchase and then buy enough racks, all at once, to accommodate your
entire set.
Storing your chips in the traditional 100-chip acrylic racks will allow you to use a 'birdcage' to store your poker chips.
These are the types of cases that you see carried around at casinos. They allow you to store 10 racks of 100 chips in a
see-through carrier. A
birdcage full of chips makes for a lovely site sitting on any bar or poker table! It's a great way to display your poker chips
and allows you to open the box and remove the racks one at a time as you need them, making it very practical. They even sell these
things with wheels and long handles so that you can wheel it around like an airport travel bag.
Plastic storage boxes are similar to the 100-chip acrylic racks except they are made of a softer plastic and they hold 4
rows of 25 chips rather than 5 rows of 20 chips. Approximate measurements are 6 5/8" x 3
1/2" x 1 7/8" and they cost about $2.25 with a cover. I find that the boxes
travel better than the acrylic racks and the shape is a bit easier to accommodate inside travel bags. The box covers stay on with no
problems. The boxes do, however, look cheaper than an acrylic rack, like they should be holding cheap composite chips rather
than nice clay chips. They also do not fit into the 'Birdcage' chip carrier shown above.
My Poker Chip Storage
600-chip Acrylic Poker Chip Case (lower left)
Used for long-term storage of poker chips.
Mini-Laundry Basket (top left)
Used to move a player's chips from one table to another when a player is moved, or when you combine tables.
Beer Coolers (top middle)
Used to store each player's initial buyin of poker chips. Also used to keep beer cold. Also used to protect the poker
table from cold, wet beer bottles.
100-chip Poker Chip Storage Box (far right)
Used for long-term storage of chips. Also used during the tournament for rebuys and chip color-ups.
I use the 600-chip acrylic case to store and display the majority of my poker chips on my home bar. I also
considered using a nice wood poker storage box for this purpose but I like the ability to view the chips through the
clear acrylic. I think that some of the wood poker chip and playing cards boxes are far more beautiful and might
be my next poker purchase (unless some nice poker retailer would like to send me one to review!).
I use 3 or 4 mini-baskets (the grey basket in the top left of the photo) to help players move chips from one table to another.
You can buy a couple baskets for about $1 at a Dollar or Discount store. You could instead use large plastic bowls or shoe boxes.
I require that each player at my house use a beer cooler for their refreshments so I use Styrofoam beer coolers to
hold each player's initial buyin. By putting the initial buyin of chips in beer coolers, I can hand each player their buyin
chips and beer cooler at the same time! You could instead use large drinking glasses, jars, or Ziploc bags for the same purpose.
I like using the 100-chip clear plastic boxes to store my poker chips. They make it easy to count your chips, they
travel well, and they are very convenient. It's much simpler to carry one or two boxes of chips to your table than it is to
carry your 500 chip aluminum case. I prefer the plastic boxes with covers (shown on the left) over the standard poker
chip racks (shown below) for several reasons. The boxes are cheaper (with a cover), they travel better (they are a bit more
flexible), they are more sturdy (4 rows of 25 chips rather than 5 rows of 20 chips). Disadvantages are that they look cheap
but mostly, that they do not come in standard rows of 20, which is more common than rows of 25.
I use the 100-chip boxes to store rebuys that I keep within reach during the game. I keep a box of rebuys next to my seat so
that when a player needs a rebuy, I can simply grab the box of rebuy chips, remove a (pre-counted) stack of 1000 chips, hand
the chips to the rebuy player, collect the money and place the money into the box. I don't even have to leave my seat! I can
then place the box back down beside my seat until the next player needs a rebuy. The storage box shown here contains four rebuys
of 1000 chips each. The stack on the far left of the box contains red ($5) chips and would be given to a player who busts out at the
beginning of a tournament when the red chips are still needed. The stack on the far right contains 10 Black ($100) chips and
would be given out towards the end of the rebuy period when red chips are no longer needed. For my 16-player home tournaments I
usually prepare 8 rebuys of various chip configurations.
The 100-chip storage boxes are excellent for traveling. I can easily fit ten or more 100-chip boxes in a travel bag for
"road games". There is no chance of the boxes accidentally opening or the chips moving around inside the boxes.
Frankly, the handles on most aluminum and vinyl poker chip cases are horrible, most bend or break quite easily. I avoid
this problem by carrying my poker chips in a travel bag. Here is a photo of 8 boxes of 100 chips in my travel handbag. There
is a 500-chip aluminum poker case in the same photo. I can put 1600 chips into the travel bag without worry but I have to carry
the 500-chip aluminum case with both hands because the handle always feels like it's going to break at any moment.
To secure the chips, I lock the zipper on the travel bag with one of those tiny padlocks that is included with luggage ...
it's always good for a laugh!
I store some of my poker chips in the cardboard poker chip boxes that my customized ASM Horse Head clay poker chips were
delivered in. The boxes are too flimsy for everyday use but are okay for long-term storage. They each hold 100 chips and
can be stacked quite well.
Poker Chip Container

American Gaming Supply
Casino Shop Israel
Chips and Games5% off: HPT5
Discount Casino Gear
Discount Poker Shop
Just Poker Supplies
Kooper France (France)
MRC Poker Store
Old West Poker Supplies10% off: HPT10
Poker Chest$10 off: HPT10
Poker Chips
Poker Discount Dot Net5% off: HPTPD5%
Poker 'n Stuff10% off: HPT10
PromoPlay.ru5% off: hpt5
Sidepot off: HPT10
Straight Poker Supplies (Canada)
Texas Poker Supply10% off: TPSHPTNEW
The Poker Depot
Trademark Poker
Clear Casino Chip Cases (Birdcages)
Discount Casino Gear